Input =
=====
This record from the Materials Project describes an optimized crystal structure of Tl2MoO4. The functional is r2SCAN.

Calculated values
As for the symmetry: C2, No. 5. The total moment is 0.000 μB/f.u. Its formation energy is -1698 meV per atom. As for the total energy: -1.7662 Ry/atom. The energy above the lowest structure with this stoichiometry is 0.00 eV per formula unit.

a b c (Å): 6.153 6.153 8.022
angles (deg): 88.86 88.86 63.56
Element x y z (fractional)
O1 0.402 0.761 0.802
O2 0.248 0.364 0.515
O3 0.896 0.711 0.792
O4 0.239 0.598 0.198
O5 0.289 0.104 0.208
Mo1 0.364 0.316 0.308
Tl1 0.049 0.951 0.500
Tl2 0.334 0.339 0.822
Mo2 0.684 0.636 0.692
O6 0.787 0.318 0.700
Tl3 0.661 0.666 0.178
O7 0.682 0.213 0.300
O8 0.636 0.752 0.485
Tl4 0.998 0.002 0.000

This record from the Materials Project describes an optimized crystal structure of Tl2SbF5. The functional is r2SCAN.

Calculated values
As for the symmetry: Cmcm, No. 63. The total moment is 0.000 μB/f.u. Its formation energy is -2247 meV per atom. As for the total energy: -1.5221 Ry/atom.

a b c (Å): 7.621 7.621 6.665
angles (deg): 90.00 90.00 130.06
Element x y z (fractional)
F1 0.894 0.651 0.535
Tl1 0.247 0.753 0.250
F2 0.106 0.349 0.465
F3 0.234 0.766 0.750
F4 0.651 0.894 0.465
Tl2 0.567 0.433 0.250
F5 0.651 0.894 0.035
Tl3 0.433 0.567 0.750
F6 0.894 0.651 0.965
F7 0.106 0.349 0.035
Sb1 0.092 0.908 0.750
Sb2 0.908 0.092 0.250
Tl4 0.753 0.247 0.750
F8 0.766 0.234 0.250
F9 0.349 0.106 0.965
F10 0.349 0.106 0.535

This record from the Materials Project describes an optimized crystal structure of CaHoCd2. The functional is r2SCAN.

Calculated values
As for the symmetry: Fm-3m, No. 225. The total moment is 0.000 μB/f.u. Its formation energy is -378 meV per atom. As for the total energy: -1.5001 Ry/atom.

a b c (Å): 5.295 5.295 5.295
angles (deg): 60.00 60.00 60.00
Element x y z (fractional)
Ho1 0.000 0.000 0.000
Cd1 0.250 0.250 0.250
Cd2 0.750 0.750 0.750
Ca1 0.500 0.500 0.500

This record from the Materials Project describes an optimized crystal structure of PmRh3. The functional is r2SCAN.

Calculated values
As for the symmetry: P6_3/mmc, No. 194. The total moment is 0.000 μB/f.u. Its formation energy is -393 meV per atom. As for the total energy: -1.9022 Ry/atom.

a b c (Å): 5.883 5.883 4.590
angles (deg): 90.00 90.00 120.00
Element x y z (fractional)
Rh1 0.847 0.153 0.750
Rh2 0.153 0.847 0.250
Rh3 0.153 0.307 0.250
Rh4 0.693 0.847 0.250
Pm1 0.667 0.333 0.250
Rh5 0.307 0.153 0.750
Rh6 0.847 0.693 0.750
Pm2 0.333 0.667 0.750

This record from the Materials Project describes an optimized crystal structure of MnH8C4N2O6. The functional is r2SCAN.

Calculated values
The total moment is 0.000 μB/f.u. Its formation energy is -822 meV per atom. As for the total energy: -0.5371 Ry/atom.

a b c (Å): 13.257 8.724 8.251
angles (deg): 90.00 117.35 90.00
Element x y z (fractional)
O1 0.294 0.848 0.767
H1 0.424 0.418 0.602
H2 0.752 0.934 0.324
H3 0.622 0.761 0.514
H4 0.076 0.918 0.898
Mn1 0.750 0.250 0.500
C1 0.000 0.270 0.250
C2 0.211 0.510 0.204
C3 0.711 0.010 0.204
C4 0.711 0.990 0.704
O2 0.328 0.049 0.952
C5 0.500 0.770 0.250
O3 0.672 0.951 0.048
Mn2 0.750 0.750 0.000
O4 0.794 0.348 0.767
O5 0.910 0.875 0.140
O6 0.590 0.625 0.860
H5 0.924 0.082 0.102
O7 0.328 0.951 0.452
C6 0.500 0.307 0.250
C7 0.289 0.010 0.296
H6 0.500 0.819 0.750
H7 0.122 0.739 0.014
O8 0.706 0.152 0.233
O9 0.706 0.848 0.733
H8 0.748 0.434 0.176
C8 0.211 0.490 0.704
H9 0.878 0.739 0.486
C9 0.000 0.807 0.250
O10 0.672 0.049 0.548
H10 0.424 0.582 0.102
H11 0.500 0.105 0.750
O11 0.794 0.652 0.267
H12 0.378 0.239 0.486
H13 0.000 0.319 0.750
N1 0.071 0.800 0.899
H14 0.378 0.761 0.986
N2 0.429 0.300 0.601
H15 0.500 0.895 0.250
H16 0.252 0.566 0.824
H17 0.076 0.082 0.398
H18 0.622 0.239 0.014
C10 0.289 0.990 0.796
O12 0.206 0.348 0.733
O13 0.828 0.451 0.452
N3 0.429 0.700 0.101
N4 0.571 0.700 0.399
O14 0.410 0.625 0.640
H19 0.248 0.066 0.676
N5 0.571 0.300 0.899
Mn3 0.250 0.750 0.500
H20 0.248 0.934 0.176
=====
Assignment =
Please type out everything above character by character.
Outcome =
This record from the Materials Project describes an optimized crystal structure of Tl2MoO4. The functional is r2SCAN.

Calculated values
As for the symmetry: C2, No. 5. The total moment is 0.000 μB/f.u. Its formation energy is -1698 meV per atom. As for the total energy: -1.7662 Ry/atom. The energy above the lowest structure with this stoichiometry is 0.00 eV per formula unit.

a b c (Å): 6.153 6.153 8.022
angles (deg): 88.86 88.86 63.56
Element x y z (fractional)
O1 0.402 0.761 0.802
O2 0.248 0.364 0.515
O3 0.896 0.711 0.792
O4 0.239 0.598 0.198
O5 0.289 0.104 0.208
Mo1 0.364 0.316 0.308
Tl1 0.049 0.951 0.500
Tl2 0.334 0.339 0.822
Mo2 0.684 0.636 0.692
O6 0.787 0.318 0.700
Tl3 0.661 0.666 0.178
O7 0.682 0.213 0.300
O8 0.636 0.752 0.485
Tl4 0.998 0.002 0.000

This record from the Materials Project describes an optimized crystal structure of Tl2SbF5. The functional is r2SCAN.

Calculated values
As for the symmetry: Cmcm, No. 63. The total moment is 0.000 μB/f.u. Its formation energy is -2247 meV per atom. As for the total energy: -1.5221 Ry/atom.

a b c (Å): 7.621 7.621 6.665
angles (deg): 90.00 90.00 130.06
Element x y z (fractional)
F1 0.894 0.651 0.535
Tl1 0.247 0.753 0.250
F2 0.106 0.349 0.465
F3 0.234 0.766 0.750
F4 0.651 0.894 0.465
Tl2 0.567 0.433 0.250
F5 0.651 0.894 0.035
Tl3 0.433 0.567 0.750
F6 0.894 0.651 0.965
F7 0.106 0.349 0.035
Sb1 0.092 0.908 0.750
Sb2 0.908 0.092 0.250
Tl4 0.753 0.247 0.750
F8 0.766 0.234 0.250
F9 0.349 0.106 0.965
F10 0.349 0.106 0.535

This record from the Materials Project describes an optimized crystal structure of CaHoCd2. The functional is r2SCAN.

Calculated values
As for the symmetry: Fm-3m, No. 225. The total moment is 0.000 μB/f.u. Its formation energy is -378 meV per atom. As for the total energy: -1.5001 Ry/atom.

a b c (Å): 5.295 5.295 5.295
angles (deg): 60.00 60.00 60.00
Element x y z (fractional)
Ho1 0.000 0.000 0.000
Cd1 0.250 0.250 0.250
Cd2 0.750 0.750 0.750
Ca1 0.500 0.500 0.500

This record from the Materials Project describes an optimized crystal structure of PmRh3. The functional is r2SCAN.

Calculated values
As for the symmetry: P6_3/mmc, No. 194. The total moment is 0.000 μB/f.u. Its formation energy is -393 meV per atom. As for the total energy: -1.9022 Ry/atom.

a b c (Å): 5.883 5.883 4.590
angles (deg): 90.00 90.00 120.00
Element x y z (fractional)
Rh1 0.847 0.153 0.750
Rh2 0.153 0.847 0.250
Rh3 0.153 0.307 0.250
Rh4 0.693 0.847 0.250
Pm1 0.667 0.333 0.250
Rh5 0.307 0.153 0.750
Rh6 0.847 0.693 0.750
Pm2 0.333 0.667 0.750

This record from the Materials Project describes an optimized crystal structure of MnH8C4N2O6. The functional is r2SCAN.

Calculated values
The total moment is 0.000 μB/f.u. Its formation energy is -822 meV per atom. As for the total energy: -0.5371 Ry/atom.

a b c (Å): 13.257 8.724 8.251
angles (deg): 90.00 117.35 90.00
Element x y z (fractional)
O1 0.294 0.848 0.767
H1 0.424 0.418 0.602
H2 0.752 0.934 0.324
H3 0.622 0.761 0.514
H4 0.076 0.918 0.898
Mn1 0.750 0.250 0.500
C1 0.000 0.270 0.250
C2 0.211 0.510 0.204
C3 0.711 0.010 0.204
C4 0.711 0.990 0.704
O2 0.328 0.049 0.952
C5 0.500 0.770 0.250
O3 0.672 0.951 0.048
Mn2 0.750 0.750 0.000
O4 0.794 0.348 0.767
O5 0.910 0.875 0.140
O6 0.590 0.625 0.860
H5 0.924 0.082 0.102
O7 0.328 0.951 0.452
C6 0.500 0.307 0.250
C7 0.289 0.010 0.296
H6 0.500 0.819 0.750
H7 0.122 0.739 0.014
O8 0.706 0.152 0.233
O9 0.706 0.848 0.733
H8 0.748 0.434 0.176
C8 0.211 0.490 0.704
H9 0.878 0.739 0.486
C9 0.000 0.807 0.250
O10 0.672 0.049 0.548
H10 0.424 0.582 0.102
H11 0.500 0.105 0.750
O11 0.794 0.652 0.267
H12 0.378 0.239 0.486
H13 0.000 0.319 0.750
N1 0.071 0.800 0.899
H14 0.378 0.761 0.986
N2 0.429 0.300 0.601
H15 0.500 0.895 0.250
H16 0.252 0.566 0.824
H17 0.076 0.082 0.398
H18 0.622 0.239 0.014
C10 0.289 0.990 0.796
O12 0.206 0.348 0.733
O13 0.828 0.451 0.452
N3 0.429 0.700 0.101
N4 0.571 0.700 0.399
O14 0.410 0.625 0.640
H19 0.248 0.066 0.676
N5 0.571 0.300 0.899
Mn3 0.250 0.750 0.500
H20 0.248 0.934 0.176